Zoetis Inc. has obtained a conditional license from the U.S. Department of Agriculture (USDA) to market the first commercially available vaccine for helping reduce disease caused by the Georgia 2008 variant of infectious bronchitis virus (IBV) in poultry*. The vaccine is now available in Alabama, Florida, Georgia, Kentucky and Tennessee.
The USDA agreed to issue a conditional license because the modified-live vaccine fills a special need, has been shown to be safe and has demonstrated a "reasonable expectation of efficacy" against the target pathogen.
"The Georgia '08 variant has had a devastating impact on animal health, production, and profits on affected farms, with previously available vaccines providing little protection," said Kalen Cookson, DVM, MAM, a technical services veterinarian for Zoetis.
"We set the ambitious goal in spring 2013 of having a commercial vaccine available for this contagious and costly strain in time for winter, when IBV is most prevalent. We were able to achieve this goal in only seven months, thanks to the strong support of industry and the USDA. We look forward to their continued support as we work towards a full license for the vaccine."
First identified in Georgia in December 2007, the Georgia '08 IBV variant has since been isolated on farms in Alabama, Tennessee and Kentucky. Over the past two winters, its incidence and severity have increased dramatically, resulting in significant losses due to condemnations at processing, reduced line efficiency and additional plant measures needed to process affected birds.
Data records that have nothing to do with the text =
-- begin --
NdYZn2Sn2: simulated XRD peak list (Cu Ka), based on a structure optimized by DFT (GGA-PBE).

Main lines, in order of rising 2θ (2θ = 5–70°):
two_theta  Rel. int.  (hkl)
28.06  20.2  1 0 3
31.73  100.0  1 0 4
39.59  65.6  1 1 0
44.92  7.4  0 0 8
45.57  17.0  1 0 7
51.60  25.3  2 0 4
61.40  17.6  1 1 8
61.93  6.9  2 0 7
66.94  23.1  2 1 4
68.19  7.5  1 0 11

Atomic structure:
```
data_NdYZn2Sn2
_chemical_formula_sum 'Nd2 Y2 Zn4 Sn4'
_cell_length_a 4.5526
_cell_length_b 4.5526
_cell_length_c 16.1421
_cell_angle_alpha 90.00
_cell_angle_beta 90.00
_cell_angle_gamma 120.00
_symmetry_space_group_name_H-M 'P 63/m m c'
_symmetry_Int_Tables_number 194
_symmetry_space_group_name_Hall '-P 6c 2c'
loop_
_atom_site_label
_atom_site_fract_x
_atom_site_fract_y
_atom_site_fract_z
Nd1 0.0000 0.0000 0.2500
Y1 0.0000 0.0000 0.0000
Zn1 0.3333 0.6667 0.1555
Sn1 0.3333 0.6667 0.6118
```

Nd4Zn3Sn2: simulated XRD peak list (Cu Ka), based on a structure optimized by DFT (GGA-PBE).

Main lines, in order of rising 2θ (2θ = 5–70°):
two_theta  Rel. int.  (hkl)
20.13  19.4  1 1 0
30.97  17.3  1 2 0
32.60  80.9  1 1 1
34.70  43.4  2 0 1
35.24  100.0  3 0 0
40.45  31.7  1 2 1
48.76  17.5  2 2 1
52.12  17.4  0 0 2
58.90  29.8  3 2 1
64.48  39.3  3 0 2

Atomic structure:
```
data_Nd4Zn3Sn2
_chemical_formula_sum 'Nd4 Zn3 Sn2'
_cell_length_a 8.8215
_cell_length_b 8.8215
_cell_length_c 3.5107
_cell_angle_alpha 90.00
_cell_angle_beta 90.00
_cell_angle_gamma 120.00
_symmetry_space_group_name_H-M 'P -6'
_symmetry_Int_Tables_number 174
_symmetry_space_group_name_Hall 'P -6'
loop_
_atom_site_label
_atom_site_fract_x
_atom_site_fract_y
_atom_site_fract_z
Nd1 0.0000 0.0000 0.0000
Nd2 0.0355 0.3694 0.0000
Zn1 0.3226 0.2854 0.5000
Sn1 0.3333 0.6667 0.5000
Sn2 0.6667 0.3333 0.0000
```

NdZr6Sn4: simulated XRD peak list (Cu Ka), based on a structure optimized by DFT (GGA-PBE).

Main lines, in order of rising 2θ (2θ = 5–70°):
two_theta  Rel. int.  (hkl)
29.20  67.8  1 1 0
31.27  48.9  1 1 3
33.24  97.6  0 0 9
34.06  100.0  0 2 1
36.85  99.7  1 1 6
37.04  92.4  0 2 4
38.74  81.2  2 0 5
44.82  33.3  1 1 9
60.56  62.3  2 2 0
65.26  37.8  1 1 15

Atomic structure:
```
data_NdZr6Sn4
_chemical_formula_sum 'Nd3 Zr18 Sn12'
_cell_length_a 6.1161
_cell_length_b 6.1161
_cell_length_c 24.2598
_cell_angle_alpha 90.00
_cell_angle_beta 90.00
_cell_angle_gamma 120.00
_symmetry_space_group_name_H-M 'R -3 m'
_symmetry_Int_Tables_number 166
_symmetry_space_group_name_Hall '-R 3 2"'
loop_
_atom_site_label
_atom_site_fract_x
_atom_site_fract_y
_atom_site_fract_z
Nd1 0.0000 0.0000 0.0000
Zr1 0.0026 0.5013 0.1050
Sn1 0.0000 0.0000 0.1250
Sn2 0.0000 0.0000 0.3327
```

Nd2Te: simulated XRD peak list (Cu Ka), based on a structure optimized by DFT (GGA-PBE).

Main lines, in order of rising 2θ (2θ = 5–70°):
two_theta  Rel. int.  (hkl)
16.84  9.9  1 1 1
27.66  21.9  2 2 0
32.56  100.0  3 1 1
34.05  45.8  2 2 2
39.52  7.5  4 0 0
48.92  9.0  4 2 2
52.10  35.2  5 1 1
57.13  31.7  4 4 0
67.32  12.1  5 3 3
68.20  18.2  6 2 2
-- stop --
Unlike other IBV strains, which typically affect the upper respiratory tract, the Georgia '08 variant primarily affects the lower tract, particularly the air sacs. According to Cookson, lower respiratory tract infections produce fewer visible symptoms in live birds, but cause "unpleasant surprises" at processing.
"Airsacculitis is a major cause of condemnation," he explained. "Even when birds are salvageable, the extra time and steps required have a major impact on plant efficiency."
In addition, he said, more severe outbreaks of the Georgia '08 strain can cause further losses due to mortalities and secondary infections from E. coli and other harmful bacteria.
The new conditionally licensed vaccine has received broad industry support, including a letter from veterinarians at four major poultry companies affected by the Georgia '08 variant.
Zoetis plans to submit additional efficacy studies of the vaccine in order to pursue a full USDA license. For more information about the conditionally licensed vaccine and other biologicals for managing IBV, producers should contact their local Zoetis representative.
* This product license is conditional. Efficacy and potency test studies are in progress.